Today is World Human Rights Day which celebrates and commemorates the creation and existence of the Universal Declaration of Human Rights which came into being on 10 December 1948. It is one of the most significant days in the United Nations’ calendar of events and it is traditionally on 10 December that the five-yearly United Nations Prize in the Field of Human Rights and Nobel Peace Prize are awarded. In addition, many activists, charities, government bodies, non-governmental organisations and grassroots groups working on all aspects of human rights protection and promotion schedule special events in observance of the day.
In the introduction chapter of his book, Half the Sky, Nicholas Kristof, New York Times columnist calls violence against women “one of the paramount human rights problems of this century”. Yet, unlike poverty, war, healthcare and children’s rights, the movement to eradicate violence against women (and women’s rights in general) has not garnered as much support as it should even though forms of gender-based violence is alive, well, evident and entrenched in many – if not all – countries, cultures and communities.
Indeed, of all the UN agencies, UN Women (and the different UN women’s agencies that existed prior to UN Women’s inception) has one of the smallest budgets and it is only in the last 3 years that the UN has taken the issue of violence against women seriously enough to form UN Women and to launch their Say NO – UNiTE to End Violence Against Women campaign.
The reasons for the slow progress of securing and ensuring the right of women and girls to a violence-free life are many including (but not limited to):
- Social acceptance of violence against women as normal and part of the culture. For example: Female Genital Mutilation/Cutting and forced/arranged/child marriage are all part of cultural norms in many countries.
- A wall of silence surrounds violence against women as many cultures and communities see it as a taboo subject for discussion or a private family matter.
- Mistaken categorisation of violence against women as a ‘special interest’ issue rather than a universal human rights issue, simply because it involves women.
- Lopsided political and social power structures where men hold the majority of power to the point where women’s rights are seen as minor commodities to be bartered without consideration for women’s voices and rights. Case in point: the political bartering in Afghanistan.
So we ask that, on this World Human Rights Day, you make a resolution to stand up to say NO to violence against women and to help raise awareness about this most urgent -yet still ignored, condoned and/or hidden – of human rights issues.
It’s time to stop violence against women. Together.
To get you started, here are 16 ways of commemorating World Human Rights Day in ways that will shine a light on violence against women:
## Between two parts of the text: materials data
........
[1]
DFT (PBE) results for crystalline MgAsIrSe2 at its relaxed geometry.

Structure (POSCAR):
```
MgAsIrSe2
1.0
-0.558 0.879 5.105
-4.873 -1.831 -0.218
1.528 -4.172 0.885
Se Ir Mg As
2 1 1 1
direct
0.500 0.000 0.000
0.000 0.500 0.000
0.000 0.000 0.000
0.500 0.500 0.500
0.000 0.000 0.500
```

Calculated values
Energy above the lowest structure with this stoichiometry: 0 meV/atom
SG: P4/mmm (123)
Spin magnetization: 0.00 μB per cell
Energy relative to the elements, uncorrected: 1.2 eV/f.u.

=====

[2]
DFT (PBE) results for crystalline BeCrAsBr2 at its relaxed geometry.

Structure (POSCAR):
```
BeCrAsBr2
1.0
-3.353 2.907 -2.367
-1.513 -3.955 -2.715
-3.355 -1.074 3.434
Br Be As Cr
2 1 1 1
direct
0.500 0.000 0.000
0.000 0.500 0.000
0.500 0.500 0.500
0.000 0.000 0.500
0.000 0.000 0.000
```

Calculated values
Energy above the lowest structure with this stoichiometry: 155 meV/atom
SG: P4/mmm (123)
Spin magnetization: 2.54 μB per cell
Energy relative to the elements, uncorrected: 2.8 eV/f.u.

=====

[3]
DFT (PBE) results for crystalline Tb2Pm2Pb at its relaxed geometry.

Structure (POSCAR):
```
Tb2Pm2Pb
1.0
-0.126 -4.417 -0.306
4.212 -0.214 1.353
-4.711 1.822 7.705
Pm Tb Pb
2 2 1
direct
0.413 0.413 0.825
0.587 0.587 0.175
0.250 0.750 0.500
0.750 0.250 0.500
0.000 0.000 0.000
```

Calculated values
SG: I4/mmm (139)
Spin magnetization: 0.00 μB per cell
Total DFT energy (no corrections): -21.55 eV/cell

=====
........
## The text goes on
Action Number 1: Write About It. If you are a blogger or a media columnist, write about violence against women as a human rights issue as your contribution to World Human Rights Day. But don’t stop there – make sure to set it to go viral online by posting it on Facebook and tweeting it on Twitter.
Action Number 2: Go The Distance. Make the decision today to start training to take part in a marathon/dualthlon/ triathlon so you can walk, run, swim or bike long distance to raise funds for your local anti-Violence Against Women nonprofit/charity as well as to raise awareness about the issue in your community.
Action Number 3: Share A Sign. Poster-like sayings and quotes are now really popular on Facebook as visuals combined with words make a bigger impact. Do the same for violence against women in a positive way by pairing a relevant picture of peace symbols with a call for an end to the violence this World Human Rights Day.
Action Number 4: Say Your Piece. If you have a webcam, one of the most powerful ways of standing up to deliver your message to say NO to violence against women is to record a simple public service announcement that you can post on YouTube and share via Facebook and Twitter. Just figure out what you need to say, put on your best shirt and say it!
Action Number 5: Send Out Those Letters. Tired of seeing women’s rights and laws that could help curb violence against women kicked about like political football or used as a pawn in political negotiations? Write a strongly worded letter to your representative in Congress or Parliament asking them to push for the laws for women’s human rights to be passed and enforced.
Action Number 6: Create a Meme. Internet memes such as Feminist Ryan Gosling, the Breast Cancer Awareness status updates etc are a fantastic way of getting the message out there and viral. So put on your thinking cap, get creative and work with a group of friends to get a “Say NO to Violence Against Women” meme up and running, even if it is only within the social media networks of your social circle.
Action Number 7: Petition, Petition, Petition. Do a search for the latest women’s rights and anti-violence against women petitions on and other social change websites and networks. Then sign as many as you can… or you could start your own petition addressing any particular violence against women issue that your hold dear.
Action Number 8: Perform A Random Act Of Kindness… towards a woman or girl in your community facing violence in her life. It could be as simple as going to your local women’s shelter or rape crisis centre with some food or blankets and spending time with the women there to listen and understand their stories.
Action Number 9: Teach It. Here’s an idea for those of you who are teachers, professors, lecturers, tutors, mentors and coaches: Prepare a special talk/lecture/lesson on the significance of World Human Rights Day and why violence against women needs to be taken seriously as a human rights issue. Then lead a discussion coming out of the lesson/talk/lecture.
Action Number 10: Set A Good Example. If you are a senior male in your family (e.g. a father, grandfather or uncle), set a good example for the younger male relatives by consciously treating your female relatives with respect. If you haven’t done so before, start consciously doing so. Speak to the boys and young men in your family about the importance of resolving disputes and arguments in a non-violent way.
Action Number 11: Hold The Media Accountable. If you see any content that may incite violence against women in newspapers, magazines, movies, television programmes, on websites and on social networks, take the time to write to the producers/editors/creators of this content to take them to task. Encourage your friends and family to do the same. Create a petition if need be. As a media audience and consumer, exercise your voice and speak up against such content.
Action Number 12: The Moment Of Silence. Get your co-workers organised and stage a lunch-time moment of silence in honour of World Human Rights Day and in acknowledgement of all the women and girls worldwide who suffer from gender-based violence.
Action Number 13: Light The Way. Get a group of close friends, classmates and family together to light a candle each after dinner on World Human Rights Day. Each lighted candle represents your symbolic acknowledgement of all the women and girls worldwide who suffer from gender-based violence.
Action Number 14: Book Club It. If you are a member of a Book Club, suggest that your group starts reading a book about violence against women such as Half The Sky, The Colour Purple or Tina Turner’s autobiography to mark World Human Rights Day and start discussing the issues. If you’re not a member of a Book Club, get one organised to do this.
Action Number 15: Sing It, Sista! If you are part of a choir or an a cappella singing group, consider singing a song about violence against women or women’s empowerment as your nod to World Human Rights Day.
Action Number 16: Be Supportive. If your local anti-VAW nonprofit is organising an event or activity in conjunction with World Human Rights Day, contact them and volunteer to help them with the event/activity. If they don’t need any help, then make it a point to attend the event/activity to show support and solidarity for the cause.